Now quote the lines underneath from the one with "-0.258" to the one with "14.78147 -9.28071" without altering anything.

<<<
1.
Below is 10 unconnected molecules or ions with the total composition C37H51F3O30 in a non-equilibrium geometry, with properties calculated with ωB97M-V with the def2-TZVPD basis set.

Last column: Mulliken charge in e.
Positions of all 121 atoms, in Å:
C 21.25255 -3.15844 4.93881  -0.912
C 22.06969 -3.20729 6.23906  0.274
C 23.54665 -3.51994 6.10407  -0.258
O 24.13880 -2.62106 7.00134  -0.400
C 23.22819 -1.62210 7.34086  0.631
O 23.55965 -0.63806 7.93578  -0.533
O 22.04172 -1.92468 6.84086  -0.388
H 20.34170 -2.57266 5.06252  0.317
H 20.92013 -4.14243 4.60812  0.339
H 21.71637 -2.68915 4.07120  -0.078
H 21.58273 -3.86854 6.95579  0.430
H 23.92739 -3.45702 5.08467  0.189
H 23.65079 -4.47572 6.61763  0.317
C 14.58885 -9.22198 -0.22604  -1.504
C 15.31630 -8.02538 -0.97081  0.461
C 14.50529 -6.70967 -0.80294  -0.416
O 15.49585 -5.85579 -0.37612  -0.342
C 16.67690 -6.52697 -0.24848  0.574
O 17.67408 -6.02391 0.14957  -0.441
O 16.57612 -7.75225 -0.46633  -0.248
H 13.51381 -9.04852 -0.27404  0.388
H 14.78147 -9.28071 0.84520  0.381
H 14.86382 -10.23711 -0.51242  0.359
H 15.38794 -8.31118 -2.02024  0.263
H 13.69817 -6.86068 -0.08611  0.281
H 13.93548 -6.38326 -1.67292  0.323
C 18.31387 -4.84473 3.30120  -1.131
C 17.52633 -3.70899 2.62928  2.288
C 16.08762 -3.86327 2.79631  0.008
O 15.71968 -2.52668 3.25632  -0.405
C 16.82432 -1.82624 3.64435  0.527
O 16.76715 -0.77928 4.25297  -0.558
O 17.94460 -2.62677 3.42721  -0.034
H 19.34990 -4.50774 3.26670  -0.387
H 18.29329 -5.73137 2.66753  0.212
H 17.96378 -5.05207 4.31241  0.638
H 17.82014 -3.64068 1.58186  -1.717
H 15.94228 -4.53503 3.64232  0.274
H 15.48595 -4.13854 1.93010  0.184
C 22.56290 -6.00120 -3.45849  -0.835
C 23.10682 -7.41671 -3.84950  0.450
C 24.55944 -7.41558 -4.39090  -0.488
O 25.24921 -8.31597 -3.52590  -0.347
C 24.52217 -8.79221 -2.56985  0.593
O 24.87423 -9.60091 -1.82127  -0.517
O 23.25807 -8.10576 -2.62145  -0.355
H 22.14792 -5.46091 -4.30936  0.460
H 23.33522 -5.40066 -2.97790  0.507
H 21.69251 -6.11291 -2.81193  -0.408
H 22.43627 -7.94753 -4.52529  0.306
H 24.97878 -6.40988 -4.41963  0.314
H 24.47439 -7.73303 -5.43018  0.334
C 20.78188 -4.95542 0.18567  -0.539
C 22.10575 -4.91262 0.94398  0.272
C 23.39543 -4.71886 0.21318  0.908
O 23.79772 -3.38840 0.44424  -0.403
C 23.07471 -2.87655 1.42584  0.078
O 23.25375 -1.74921 1.94255  -0.503
O 22.04502 -3.71599 1.71828  0.112
H 20.78607 -5.75303 -0.55723  0.079
H 20.70848 -4.11311 -0.50224  0.129
H 19.88958 -4.91009 0.81005  -0.069
H 22.09505 -5.71573 1.68087  0.350
H 23.22439 -4.80739 -0.85967  -0.691
H 24.20181 -5.40270 0.47816  0.134
C 26.30102 -0.04228 2.83921  -1.765
C 25.11928 0.07760 3.78707  1.264
C 25.46224 0.70775 5.12866  -0.384
O 24.40660 1.68839 5.33458  -0.324
C 23.79357 1.81736 4.18104  0.687
O 22.85412 2.56144 3.97240  -0.614
O 24.38461 1.10031 3.23121  -0.338
H 26.01350 -0.44092 1.86632  0.356
H 26.98522 -0.80311 3.21484  0.432
H 26.87700 0.86411 2.65263  0.409
H 24.56816 -0.85921 3.86918  -0.235
H 26.40243 1.25519 5.06194  0.262
H 25.42998 -0.03237 5.92820  0.280
C 16.88895 -2.34538 -1.10066  -0.900
C 17.39325 -3.19895 -2.23753  0.745
C 17.41303 -2.60179 -3.63894  -0.375
O 18.68801 -3.05278 -4.05802  -0.395
C 19.52197 -3.36641 -3.01477  0.290
O 20.75225 -3.51087 -3.07057  -0.554
O 18.82939 -3.33020 -1.90422  0.294
H 15.82077 -2.18479 -1.24663  0.477
H 17.28593 -1.33756 -1.22230  0.451
H 17.13263 -2.73993 -0.11423  -0.433
H 17.06200 -4.23738 -2.24243  -0.114
H 17.29286 -1.52031 -3.57528  0.313
H 16.65836 -3.06536 -4.27429  0.356
C 20.70084 0.52323 2.26562  -0.079
C 19.49488 -0.29926 2.32118  0.936
O 19.57364 -0.97098 1.10417  -0.138
C 20.39113 -0.23452 0.23259  0.406
O 20.56342 -0.44905 -0.96845  -0.582
O 20.93031 0.76067 0.89647  -0.322
F 18.39617 0.47976 2.24316  -0.415
H 21.55162 0.00249 2.70506  -0.302
H 20.59697 1.51914 2.69628  0.423
H 19.47408 -0.87291 3.24778  0.105
C 25.85294 -7.50474 3.88234  -0.198
C 25.50685 -7.81633 2.41744  0.212
O 26.56237 -7.27581 1.71798  -0.283
>>>

C 23.54665 -3.51994 6.10407  -0.258
O 24.13880 -2.62106 7.00134  -0.400
C 23.22819 -1.62210 7.34086  0.631
O 23.55965 -0.63806 7.93578  -0.533
O 22.04172 -1.92468 6.84086  -0.388
H 20.34170 -2.57266 5.06252  0.317
H 20.92013 -4.14243 4.60812  0.339
H 21.71637 -2.68915 4.07120  -0.078
H 21.58273 -3.86854 6.95579  0.430
H 23.92739 -3.45702 5.08467  0.189
H 23.65079 -4.47572 6.61763  0.317
C 14.58885 -9.22198 -0.22604  -1.504
C 15.31630 -8.02538 -0.97081  0.461
C 14.50529 -6.70967 -0.80294  -0.416
O 15.49585 -5.85579 -0.37612  -0.342
C 16.67690 -6.52697 -0.24848  0.574
O 17.67408 -6.02391 0.14957  -0.441
O 16.57612 -7.75225 -0.46633  -0.248
H 13.51381 -9.04852 -0.27404  0.388
H 14.78147 -9.28071 0.84520  0.381